Monthly Meeting Minutes – November 2022

Great Turnout on a Cold Morning – 58 in attendance and 52 breakfasts were sold.  The gas heaters and cooking apparatus kept the hanger warm as stacks of pancakes, sausage, and scrambled eggs were getting cranked out for the breakfast customers.

Call to Order – Dick Keyt called the meeting to order with a short set of reports before assembling the audience outside for the formation flyover.  He introduced several guests who either live in the area or are new to Pecan Plantation.

**The page is interrupted by quantum chemistry results**
[1]
The following is a DFT calculation (ωB97M-V with the def2-TZVPD basis set) of 3 unconnected molecules or ions with the total composition C24H54N3O2 at a distorted geometry.

Each line ends with the Mulliken charge.
Geometry (Å):
O: 0.746 -1.161 3.199  -0.357
O: -3.366 -1.484 0.114  -0.653
N: 4.745 -1.435 -1.670  0.179
N: -3.457 5.020 -1.541  0.105
N: -2.168 -0.215 1.962  0.381
C: -3.288 -2.701 2.373  -0.065
C: 5.740 -1.243 -0.606  -0.424
C: -1.743 -4.878 2.967  -0.267
C: -3.265 6.270 -2.289  -0.675
C: -4.771 4.938 -0.894  -0.363
C: 0.998 -5.022 2.629  -0.520
C: 5.302 -1.770 -2.982  -0.701
C: -0.443 -5.789 2.448  -0.694
C: -2.416 -3.966 1.781  -0.595
C: -3.017 0.511 3.021  -0.749
C: 1.466 -4.115 1.346  -0.496
C: 2.322 -2.833 1.968  -0.248
C: 6.608 0.010 -0.664  -1.081
C: 2.517 -0.703 -2.590  -1.474
C: -1.739 0.773 0.898  -0.624
C: -4.927 3.771 0.079  -1.339
C: 5.952 -0.643 -3.778  -0.964
C: -2.920 -1.398 1.394  0.128
C: 1.631 -0.492 4.175  -0.704
C: 3.692 -0.414 -1.657  0.026
C: -4.155 6.515 -3.504  -0.949
C: -3.001 3.813 -2.233  -0.099
C: 1.474 -1.406 1.913  -0.179
C: -3.873 3.281 -3.365  -1.088
H: -0.432 -6.730 3.181  0.336
H: -2.525 1.649 0.710  -0.093
H: 4.505 -2.206 -3.595  0.397
H: -1.502 -3.456 1.228  -0.462
H: -4.436 -2.921 2.169  0.249
H: -3.617 2.236 -3.567  0.448
H: 1.563 -1.076 5.212  0.223
H: -2.881 3.015 -1.490  -0.216
H: 2.822 -0.721 -3.640  0.362
H: 5.384 0.290 -3.732  0.244
H: 2.761 -0.459 3.862  0.284
H: -4.092 7.567 -3.800  0.391
H: -0.600 -6.235 1.371  0.274
H: -0.758 1.329 1.286  0.253
H: -5.208 6.298 -3.303  0.267
H: -2.267 0.994 3.811  0.189
H: -3.702 3.831 -4.294  0.295
H: 6.971 -0.448 -3.437  0.276
H: -3.405 7.107 -1.593  0.401
H: 2.175 -4.724 0.609  0.362
H: 0.669 -1.380 1.064  0.160
H: 0.595 -3.696 0.686  0.249
H: 7.106 0.157 0.301  0.442
H: 4.090 0.578 -1.902  0.214
H: -4.179 3.818 0.877  0.282
H: 7.397 -0.079 -1.413  0.237
H: 3.280 -0.346 -0.643  0.120
H: -5.580 4.882 -1.633  0.239
H: 5.212 -1.246 0.356  0.058
H: 1.035 -4.435 3.666  0.201
H: 2.041 -1.657 -2.344  0.293
H: 6.396 -2.124 -0.563  0.446
H: 3.306 -2.706 1.315  -0.084
H: -3.834 5.926 -4.365  0.222
H: 6.022 -0.930 -4.831  0.369
H: -1.985 3.973 -2.615  0.369
H: 6.027 -2.587 -2.872  0.351
H: -1.465 0.295 -0.138  0.281
H: 6.028 0.914 -0.869  0.250
H: 2.241 -0.526 1.708  0.256
H: 1.764 0.086 -2.487  0.421
H: -3.692 1.348 2.545  0.142
H: -1.462 -4.282 3.946  0.122
H: -3.054 -2.430 3.492  0.212
H: 2.633 -3.066 3.090  0.341
H: -3.682 -0.248 3.647  0.375
H: -4.940 3.315 -3.130  0.222
H: -2.562 -5.683 3.285  0.253
H: 1.819 -5.881 2.746  0.237
H: -4.845 2.804 -0.424  0.294
H: -2.214 6.345 -2.602  0.340
H: 1.285 0.619 4.401  0.211
H: -5.918 3.810 0.543  0.458
H: -4.936 5.856 -0.316  0.423

Its total charge is -1. As for the lowest unoccupied orbital energy: 2.5 eV. The HOMO energy is -1.5 eV. For the gap between HOMO and LUMO, the calculation gives 4.01 eV.

***

[2]

Dick reported that Jared Latimer informed him that he will be unable to serve as VP in 2023.  Since this is a 2-year term and elections will not be held this year, we are in need of someone to take over the VP position.  Dick explained that typically the VP is in charge of lining up the monthly speakers.  In years past the VP was also the Fly In Chairperson but that is changing for the upcoming year and will no longer be a responsibility.  Dick said he is looking for volunteers but is ready to start “twisting some arms” if no one steps up.

Dick mentioned the Fly In planning will be delegated to a small committee of three members to do upfront planning.  He clarified that there will still need to be individual committee leads for each element of the Fly In but this small committee will handle the upfront planning required to pull off a successful event.

Missing Man Formation – A formation of 5 RVs took off from 0TX1, executed a precision V formation with one RV peeling off, and ascending to heaven in honor of our departed veterans.




Project Reports

  • Ray Lewis – Building an Auto Gyro MTOsport 2017.  The kit is coming together very fast.  He expects to run the engine next week and fly soon after.
  • Kevin O’Neill – Is nearly complete with his RV-10 Empennage kit as reported by Don McDonald.

Secretary Report – Greg Walker had several reminders for the membership.

  • The chapter tables and chairs are available for member personal or other organization events.  Contact Greg (817-709-7984) to make sure there are no conflicts.  A recommended donation to the chapter is $5 for each table and $1 for each chair.
  • The annual Chapter Renewal is due to EAA National by the end of the year.  This is where the chapter charter is renewed, and insurance coverage is placed for the coming year.  The chapter report is used to determine the chapter recognition score.  In the recent past we have been rated Bronze but seek to do better in the coming year.
  • Several members have changed email addresses over the year and may be the cause for missing important chapter information.  Please go into your member profile to update your email address.  Also, check your spam settings to ensure emails from EAA are not getting blocked.
  • A new batch of nametags were delivered at the meeting so please check if you requested one.

Christmas Party – Members should have received an invitation through email for the Christmas Party on December 10th.  The organizers of the party, Claudia Sutter and Konnie Sasser, have requested a deadline of November 19th to receive payment, table requests, and food selection.  It should be a fun and festive affair with music and dancing provided by our own Jimmy De La Garza.  Get your reservation now!

Featured Speaker – Following a short break, Dave Anders presented his experiences flying and improving his Van’s RV-4 for 30 years.  He brought his RV-4 with his wife Diane from the Phoenix area flying nonstop in less than 4 hours using less than 22 gallons of 100LL.  His RV-4 was on display in the EAA hanger during his talk.

Dave’s vocation was as a dentist-his “passion” has been to make his airplane more efficient.  He was not trained as an engineer, but he studied published reports and put the data into service in a scientific manner.  Dave has kept records of his performance before and after making a modification and can show you the benefit of each mod.

Dave has spent 30 years attacking the main contributors to aircraft performance; Drag, Engine Thrust, and Weight.  He emphasized it is difficult to assign an absolute improvement metric to any individual change because it depends on the order of those changes.  His RV-4 started out in 1992 with a stock IO-360 producing 195 HP and max speed of 220 mph.  By the time he completed all the mods his HP increased to 235 and max speed of 264 mph.  In 1997 he became the CAFE Triaviathon World Record holder that has yet to be beaten.  His average rate of climb from 2500′ to 3500′ was over 3300 FPM!

He pointed out that cooling drag is often neglected, which can be up to 46% of the aircraft total drag.  Using a plenum in cowl allows all the air to be captured and directed toward cooling as opposed to be leaking out openings.  A proper plenum design will reduce the velocity to 35 mph and maximize the delta P across the cylinders.  The most influential improvements to external drag were the fastback canopy, two piece pressure recovery wheelpants, and closing gaps/seams.  Dave gained thrust performance by running RPM up to 2950, thinner-more efficient propellor, and electronic ignition pushing to 39 degree advance timing.  Weight was reduced in several places including the pilot!

Dave left us his aircraft performance paper that documents each improvement along with pictures of the modification.  The file is quite large, so get with Dick Keyt or Greg Walker to get a copy.  He considers it to be public domain.  His dedication to this lifelong obsession is very impressive and we were very fortunate to hear the story in person.


About Walkergp

Retired Lockheed Martin Engineering Senior Manager